Thinking of Skipping the Gym Today?
We’re all familiar with that feeling: just the thought of working out feels exhausting. Whether it’s the end of a long day or simply a dip in energy levels, finding the motivation to go to the gym can be an uphill battle.
But don’t worry – we’ve out together some useful tips to help you power through and reclaim your workout mojo!
One: Hydrate
Dehydration can zap your energy levels and leave you feeling lethargic. Make sure you’re drinking enough water throughout the day to stay hydrated, especially before you get to the gym.
Beckwith’s vending machine is always fully stocked, so you can pick up something for an extra boost before your workout!
Two: Fuel Your Body
Low energy levels throughout the day may simply be an indication of inadequate nutrition intake. Eating a balanced meal or even a quick snack before the gym can help you crush your workout! Go for a combination of carbohydrates and protein to give you sustained energy.
Check out some of our healthy snack ideas & our 5 favourite protein smoothie recipes for some fuel motivation.
Three: Get Some Caffeine
A cup of coffee or green tea can give you a much-needed energy boost to kickstart your workout. Just be mindful not to overdo it, as too much caffeine can lead to jitters and a crash later on.
As with everything, moderation is key!
Four: Get Moving
Sometimes, the hardest part of working out is simply getting started. Combat that inertia by doing some light movement and stretching to get your blood flowing. A quick walk around the block or a few minutes of dynamic stretches can help wake up your body and mind.
If you want to try something new and get yourself moving, Beckwith’s newer Stretched and Boxing Rox classes will do the trick! Check out the timetable here.
Five: Pump Up the Music
Music has a powerful impact on our mood and energy levels. Create a high-energy playlist filled with your favourite tunes to pump you up and get you in the zone for the gym. The right music can make all the difference in energising your exercise session.
We’ve always got the beats going in Beckwith! For an even better musical motivator, check out our lively class schedule for some energetic sounds.
Six: Trick Yourself
Feeling overwhelmed by the thought of a full workout? Tell yourself you’ll just do 10 minutes of exercise. Just get yourself through Beckwith’s door and chances are, once you get going, you won’t want to stop until you’re done & feeling good.
Aim to do 1 circuit of EGym and you’ll be feeling energised after the first exercise.
........
Material: La2Pm2Sm4Y
Method: DFT, PBE
State: optimized geometry

Total magnetization ... 0.0 μB per cell
Volume ... 622.64 Å³/cell
Formation energy from the elements ... 0.07 eV/f.u.

```
data_La2Pm2Sm4Y
_chemical_formula_sum 'La4 Pm4 Sm8 Y2'
_symmetry_space_group_name_H-M 'C 1 2/m 1'
_symmetry_Int_Tables_number 12
_cell_length_a 19.129
_cell_length_b 3.688
_cell_length_c 9.794
_cell_angle_alpha 90.00
_cell_angle_beta 115.70
_cell_angle_gamma 90.00
loop_
_symmetry_equiv_pos_as_xyz
'x,y,z'
'-x,-y,-z'
'-x,y,-z'
'x,-y,z'
'x+1/2,y+1/2,z'
'-x+1/2,-y+1/2,-z'
'-x+1/2,y+1/2,-z'
'x+1/2,-y+1/2,z'
loop_
_atom_site_label
_atom_site_fract_x
_atom_site_fract_y
_atom_site_fract_z
La1 0.166 0.000 0.000
Pm1 0.147 0.500 0.665
Sm1 0.019 0.000 0.333
Sm2 0.185 0.500 0.335
Y1 0.000 0.500 0.000
```

***

Material: Y3PaTl4Se8
Method: DFT, PBE
State: optimized geometry

Total magnetization ... 6.2 μB per cell
Volume ... 1424.38 Å³/cell
Formation energy from raw total energies ... -1.268 eV/atom

```
data_Y3PaTl4Se8
_chemical_formula_sum 'Y9 Pa3 Tl12 Se24'
_symmetry_space_group_name_H-M 'R -3 m'
_symmetry_Int_Tables_number 166
_symmetry_space_group_name_Hall '-R 3 2"'
_cell_length_a 8.3556
_cell_length_b 8.3556
_cell_length_c 23.5567
_cell_angle_alpha 90.00
_cell_angle_beta 90.00
_cell_angle_gamma 120.00
loop_
_atom_site_label
_atom_site_fract_x
_atom_site_fract_y
_atom_site_fract_z
Y1 0.0000 0.5000 0.0000
Pa1 0.0000 0.0000 0.0000
Tl1 0.0000 0.0000 0.5000
Tl2 0.0000 0.5000 0.5000
Se1 0.0000 0.0000 0.2657
Se2 0.0011 0.5006 0.7353
```

***

Material: Ac4SiPbN
Method: DFT, PBE
State: optimized geometry

Total magnetization ... 0.0 μB per cell
Volume ... 924.29 Å³/cell
Formation energy from raw total energies ... -0.628 eV/atom

```
data_Ac4SiPbN
_chemical_formula_sum 'Ac16 Si4 Pb4 N4'
_symmetry_space_group_name_H-M 'C m c m'
_symmetry_Int_Tables_number 63
_symmetry_space_group_name_Hall '-C 2c 2'
_cell_length_a 7.188
_cell_length_b 17.765
_cell_length_c 7.238
_cell_angle_alpha 90.00
_cell_angle_beta 90.00
_cell_angle_gamma 90.00
loop_
_atom_site_label
_atom_site_fract_x
_atom_site_fract_y
_atom_site_fract_z
Ac1 0.000 0.062 0.250
Ac2 0.000 0.417 0.250
Ac3 0.250 0.250 0.000
Si1 0.000 0.118 0.750
Pb1 0.000 0.390 0.750
N1 0.000 0.277 0.250
```

***

Material: K2AgHg
Method: DFT, PBE
State: optimized geometry

Total magnetization ... 0.0 μB per cell
Volume ... 303.86 Å³/cell
Formation energy from the elements ... -0.51 eV/f.u.

```
data_K2AgHg
_chemical_formula_sum 'K4 Ag2 Hg2'
_symmetry_space_group_name_H-M 'A m m 2'
_symmetry_Int_Tables_number 38
_cell_length_a 4.902
_cell_length_b 4.942
_cell_length_c 12.543
_cell_angle_alpha 90.00
_cell_angle_beta 90.00
_cell_angle_gamma 90.00
loop_
_symmetry_equiv_pos_as_xyz
'x,y,z'
'-x,-y,z'
'-x,y,z'
'x,-y,z'
'x,y+1/2,z+1/2'
'-x,-y+1/2,z+1/2'
'-x,y+1/2,z+1/2'
'x,-y+1/2,z+1/2'
loop_
_atom_site_label
_atom_site_fract_x
_atom_site_fract_y
_atom_site_fract_z
K1 0.000 0.000 0.000
K2 0.500 0.000 0.289
Ag1 0.000 0.000 0.707
Hg1 0.500 0.000 0.580
........
Seven: Remember Why You Started
Remind yourself of why you want to work out in the first place. Whether it’s to improve your health, boost your mood, or reach a fitness goal, keeping your reasons front and centre can help motivate you to lace up your trainers and get moving.
Need some help with goal-setting? Our Personal Trainers can work with you to develop tailoured, achievable fitness goals. Get to know them here.
Lastly: Don’t Forget to Listen to Your Body!
Finally, it’s important to listen to your body and honour its signals. If you’re feeling truly exhausted and burnt out, it’s more than okay to take a rest day and recharge. Pushing yourself too hard when you’re already fatigued can lead to injury and setbacks in your long-term gym goals.